**Input:**
____________
Here is a PBEsol-optimized structure of Tc2AgW2 from Alexandria via LeMat-Bulk. Energies are from SCAN.

Lattice parameters (Å, degrees): 4.1029 4.1029 6.1424 109.51 109.51 90.00
Last column: nearest neighbours and their distance in Å.
Sites, in units of the cell vectors:
Tc: 0.2500 0.7500 0.5000  4 W 2.47
W: 0.6224 0.6224 0.2448  4 Tc 2.47, 1 W 2.65
Tc: 0.7500 0.2500 0.5000  4 W 2.47
Ag: 0.0000 0.0000 0.0000  8 W 3.19, 8 Tc 3.40
W: 0.3776 0.3776 0.7552  4 Tc 2.47, 1 W 2.65

Output
DOS at the Fermi energy, states/eV/f.u.: 4.47
Crystal system: tetragonal
Space-group type: I4/mmm (139)
Magnetization, μB per cell: 0.00
Final energy, eV per cell: -237.0
____________

**Activity:**
Your job: transcribe the calculation results earlier on from the first line to the one with "Magnetization, μB" without altering anything.

**Here it is:**
Here is a PBEsol-optimized structure of Tc2AgW2 from Alexandria via LeMat-Bulk. Energies are from SCAN.

Lattice parameters (Å, degrees): 4.1029 4.1029 6.1424 109.51 109.51 90.00
Last column: nearest neighbours and their distance in Å.
Sites, in units of the cell vectors:
Tc: 0.2500 0.7500 0.5000  4 W 2.47
W: 0.6224 0.6224 0.2448  4 Tc 2.47, 1 W 2.65
Tc: 0.7500 0.2500 0.5000  4 W 2.47
Ag: 0.0000 0.0000 0.0000  8 W 3.19, 8 Tc 3.40
W: 0.3776 0.3776 0.7552  4 Tc 2.47, 1 W 2.65

Output
DOS at the Fermi energy, states/eV/f.u.: 4.47
Crystal system: tetragonal
Space-group type: I4/mmm (139)
Magnetization, μB per cell: 0.00